Friday, May 31, 2024

Gibbs Visits the Doctor, Beautiful Day

The Ridge

On Friday, May 31st not only did we wake up to lovely morning, with clear blue skies that lasted ALL day, but we also were saying goodbye to one of the strangest months for weather yet. Well, in my opinion anyway. I can’t recall if I heard Bill’s alarm but I know I slept well until 6:30 when I first rolled over. Puppy kisses right on my mouth told me someone was waiting.

Good morning!
Actually, this is lunch. 
It was such a tasty little treat!
Love melted cheddar with tomato

I slipped into lounging clothes to come downstairs. I didn’t have to be anywhere too early today. Bill made my tea and he was off for his last day of the week – and month. 😊 It was a chilly enough morning, 8C/47F, but at least not cold enough for any frost. I did cover my plants last night as a precaution. Gibbs and I went out around 8:30 to uncover them and of course, he was tentative as he approached the big sheet monster. Some protector he is!

The traumatic part of Gibbs' day
Here he is watching the door for the
assistant to come back.

I left the house at 9:50 to pick M up and take him in for his errands. Back home by 11, I popped up the screen tent as we weren’t expecting any high winds for a day or two. I did a bit of crocheting after lunch, of which was 2 little cheese, tomato and lettuce sandwiches on my keto rolls. It was good and with some almonds and cashews, it filled me. I wanted to do a bit more grass cutting to save Bill some time, he usually does the hill along the corral, but Gibbs and I had an appointment at 2 so best wait.

Her bribe of treats, wasn't winning him over either. 💗

Nervous Nelly got in the truck with no hesitation, got seat-belted in and immediately began the whining. It has to be nerves/anxiety/excitement. He wasn’t terrible the whole way with fresh air blowing in his face and the vet was ready for him as soon as we walked in. Thankfully, we were allowed inside the building this time! His assistant did all the prep work before the vet came in. I was only off by .2 lbs. on his weight. Little chunk.

So, I cut this part of our grass today.
It doesn't look like much of a hill but trust me,
it is for me!

He wasn’t too pleased with the rectal thermometer (who would be?) nor the deep ear exam and when it came to the blood drawing for heart worm, just get outta here! She was very good but we still had to restrain him while she wrapped a bandaid around his leg. If he hadn’t moved, it wouldn’t have bled. Poor soul. It wasn’t painful for me until she gave me the bill and I though my heart would stop. Oh well, good thing we love our Gibbs!

Our little boy with a pink bandage
sits in the shade with Mom.

Misplaced calculated molecules.
-- begin --
Entry 1:
# H20O10

A cluster of 10 separate species, H20O10 in total in a non-equilibrium geometry (wB97M-V/def2-TZVPD, the Open Molecules 2025 dataset).

Last column: natural (NBO) charge in e.
CARTESIAN COORDINATES (ANGSTROEM)
O -2.90990 0.83417 0.56717  -0.955
H -2.62890 0.08717 1.09417  0.481
H -3.28690 0.34417 -0.18083  0.455
O 0.59410 0.18317 0.60717  -0.991
H -0.24390 -0.30283 0.53117  0.508
H 0.44910 0.91617 -0.05083  0.506
O -1.72890 -1.26883 1.61017  -0.966
H -1.39290 -1.79283 2.31017  0.502
H -1.84590 -1.82083 0.80017  0.493
O 2.20310 -0.63683 -1.61083  -0.941
H 2.18310 -0.19583 -0.78083  0.490
H 2.77310 -0.10183 -2.19383  0.476
O 3.01510 -1.42483 1.07717  -0.932
H 3.07510 -0.57383 1.51117  0.473
H 3.02710 -1.94183 1.86317  0.467
O -0.22090 1.66317 2.65017  -0.957
H -0.01090 1.09617 1.88117  0.476
H 0.66510 2.00817 2.68217  0.443
O -0.41790 2.67517 -0.74083  -0.964
H 0.24210 2.85117 -1.42483  0.484
H -1.14290 3.23217 -0.70883  0.498
O -2.19590 1.92517 -2.59483  -0.964
H -1.65690 2.44917 -3.16883  0.461
H -1.85490 1.85717 -1.70883  0.492
O 0.94310 -3.37083 0.83217  -0.968
H 1.24410 -2.46383 0.88417  0.490
H 1.72110 -3.91683 0.74117  0.471
O -0.39890 -0.46083 -2.25183  -0.972
H 0.49610 -0.49983 -1.94083  0.483
H -0.69490 -1.34983 -2.28583  0.461

Summary:
* ΔE to the lowest compared entry with this formula, charge and spin: 3.503 eV
* structure (SMILES): O.O.O.O.O.O.O.O.O.O
* multiplicity: 1
* highest occupied orbital energy: -0.384 hartree
* E: -764.353181 hartree
* gap between HOMO and LUMO: 10.45 eV

---

Entry 2:
# C29H37BrN4O8PPtS2Te

A structure of composition C29H37BrN4O8PPtS2Te (wB97M-V/def2-TZVPD, the Open Molecules 2025 dataset).

Last column: Löwdin charge in e.
CARTESIAN COORDINATES (ANGSTROEM)
Pt -1.22738 0.16189 0.60763  0.941
C 1.93263 -5.63909 0.07539  -0.057
C 0.86633 -4.75527 0.66400  -0.281
C 1.20904 -3.65405 1.44405  -0.033
C 0.23996 -2.84837 2.02084  -0.061
C -1.09575 -3.13977 1.79004  -0.344
C -1.46048 -4.24271 1.03165  -0.089
C -0.47920 -5.04464 0.47201  -0.055
S -2.37002 -2.21762 2.61046  0.573
O -3.57028 -3.01246 2.46172  -0.330
O -1.92500 -2.00149 3.97183  -0.317
N -2.53824 -0.80429 1.84087  -0.387
C -3.19653 0.18880 2.70677  -0.200
C -2.42441 1.49704 2.80818  -0.623
O -2.63162 2.29273 3.69850  0.057
O -1.61168 1.72789 1.80772  -0.241
H 2.90294 -5.14351 0.08613  0.071
H 1.69819 -5.91191 -0.95450  0.073
H 2.02621 -6.56667 0.64393  0.080
H 2.25289 -3.42449 1.60842  0.106
H 0.51282 -1.98645 2.61492  0.099
H -2.51021 -4.45993 0.89756  0.110
H -0.76289 -5.90518 -0.12329  0.110
H -3.34814 -0.18809 3.71800  0.110
H -4.17982 0.43534 2.29034  0.120
C 2.42081 -1.61895 -3.46119  -0.091
C 1.52481 -1.77488 -4.68400  -0.235
C 0.25063 -0.94155 -4.61424  -0.189
N -0.59369 -1.47365 -3.53636  0.030
C -1.07306 -0.80821 -2.47652  -0.687
S -1.08007 -1.56710 -0.95354  0.762
N -1.62896 0.43217 -2.56889  0.108
C -1.99663 1.20988 -3.65947  -0.365
O -1.84120 0.85963 -4.81012  0.088
C -2.64409 2.50918 -3.28984  -0.123
-- stop --

He was quiet the whole way home and relaxed on my chair inside the Suite. The vet's assistant suggested we try Gravol and gave me some treatment options. I went out to get the mower ready and cut the grass on the hill. That darned near killed me too! Ha ha, I’m not good at pushing a mower uphill but it sure looks good and saves my sweetie a bit of time. Gibbs and I sat in the tent until Bill got home around 4:15 and then outside in the sun while he cut the berm and corral. Now it is all done and we can relax for the remainder of the weekend. 😊

Waiting while Daddy cuts grass.
Doesn't he look nice and cool?
He had a big day.

For supper, I baked fish and we deep fried the chips. Only enough for Bill, we’re cleaning up the fish and I had broccoli instead. It’s tempting though, they do look good, maybe just one. Everything was good and after clean up, Bill will go to the Hangar and after my blog, I’ll sit with Gibbs with my crocheting. The tv will be on for entertainment and I’ll watch another couple of Rookie Blue episodes. It is quite good.  

Yup, one french fry was all I needed. 😂

This has been a really nice day. We reached a high of 23C/73F, with a warmer day tomorrow. Things got done, Gibbs has all his medicines for heart worm, flea and tick preventative. He doesn’t have an ear infection but we did get drops for shat looks like dryness in the canal. It sure hasn’t affected his hearing, he can hear a pin drop. 😊

Wow! On May 31st, 2019
Bill and the boys had just finished building his
It looks so small here.
Good night!

Thank you for checking in on us. It has been a great week!


  1. Very few dogs enjoy going to the Vet. Glad Gibbs is healthy.
    I'm certain that Bill appreciates all the extra work you save him at the Ridge.
    Be Safe and Enjoy your weekend.

    It's about time.

    1. Thanks Rick. Gibbs is always happy going in the door and seeing the assistant for pets but........haha

== What comes next are data records, not part of the article ==
********
Entry 1:
The ion C15H21N2O3S with charge +1. Source: the OMol25 dataset; level of theory: ωB97M-V/def2-TZVPD.

Structure (ORCA input):
```
! wB97M-V def2-TZVPD RIJCOSX def2/J DEFGRID3
* xyz 1 1
C 2.199 1.163 -5.962
C 1.552 0.122 -5.058
C 0.027 0.173 -5.165
O -0.608 -0.823 -4.381
C -0.757 -0.667 -3.057
C -0.374 0.452 -2.315
C -0.608 0.499 -0.954
C -1.217 -0.568 -0.313
N -1.469 -0.511 1.090
C -2.723 -0.866 1.645
O -3.673 -1.184 1.007
C -2.593 -0.758 3.150
C -1.221 -0.145 3.384
S -0.148 -1.126 4.520
C 0.596 0.176 5.570
C 1.508 1.137 4.811
N 2.269 0.420 3.763
C -0.578 -0.123 2.010
O 0.598 0.180 1.799
C -1.602 -1.692 -1.037
C -1.373 -1.736 -2.391
H 1.922 0.993 -6.999
H 3.281 1.110 -5.883
H 1.882 2.166 -5.683
H 1.856 0.287 -4.022
H 1.885 -0.877 -5.344
H -0.351 1.170 -4.908
H -0.277 -0.055 -6.190
H 0.096 1.300 -2.786
H -0.318 1.375 -0.394
H -3.414 -0.167 3.555
H -2.672 -1.761 3.576
H -1.276 0.862 3.799
H -0.193 0.719 6.087
H 1.160 -0.395 6.307
H 2.189 1.611 5.522
H 0.928 1.922 4.321
H 3.064 0.968 3.428
H 2.599 -0.486 4.107
H 1.582 0.251 2.906
H -2.080 -2.522 -0.542
H -1.666 -2.595 -2.973
*
```

Its energy relative to the best compared isomer or geometry (same formula, charge and spin) is 0.040 eV. For the lowest unoccupied orbital energy, the calculation gives -2.789 eV. For the HOMO energy, the calculation gives -10.877 eV. For the frontier orbital gap, the calculation gives 8.088 eV. The SMILES is CCCOc1ccc(N2C(=O)C[C@@H](SCC[NH3+])C2=O)cc1. Its total energy is -1317.4141 a.u.

=====

Entry 2:
A cluster of 2 separate species, C5H13NO2 in total in a non-equilibrium geometry. Source: the OMol25 dataset; level of theory: ωB97M-V/def2-TZVPD.

Structure (ORCA input):
```
! wB97M-V def2-TZVPD RIJCOSX def2/J DEFGRID3
* xyz -1 2
C -1.853 0.192 1.587
N -1.424 -0.118 0.197
C -0.005 -0.397 0.064
C 0.185 -0.927 -1.305
C 0.494 -1.965 0.216
C 1.371 -0.545 -2.141
O 0.846 0.367 0.733
H -1.236 0.960 2.049
H -2.882 0.569 1.517
H -1.948 -0.737 2.153
H -1.633 0.767 -0.247
H -0.695 -1.404 -1.707
H -0.328 -2.659 0.416
H 0.932 -1.892 1.261
H 1.390 -2.412 -0.282
H 1.042 -0.317 -3.152
H 1.785 0.380 -1.716
H 2.223 -1.223 -1.973
H 0.656 3.498 0.884
H 0.520 1.955 0.540
O 0.222 2.897 0.280
*
```

Its energy relative to the best compared isomer or geometry (same formula, charge and spin) is 3.313 eV. For the lowest unoccupied orbital energy (spin up / spin down), the calculation gives 4.103 / 4.055 eV. For the HOMO energy (spin up / spin down), the calculation gives -0.662 / -3.495 eV. For the frontier orbital gap (spin up / spin down), the calculation gives 4.765 / 7.550 eV. Its expectation value of S² is 0.755. Its total energy is -403.4201 a.u.

=====

Entry 3:
An isolated molecule of C21H23N3O3. Source: the OMol25 dataset; level of theory: ωB97M-V/def2-TZVPD.

Structure (ORCA input):
```
! wB97M-V def2-TZVPD RIJCOSX def2/J DEFGRID3
* xyz 0 1
O 3.940 1.907 -2.075
C 3.191 1.552 -1.206
C 1.685 1.433 -1.264
C 1.281 0.773 0.061
N 0.231 1.459 0.772
C -1.108 1.143 0.560
********

  2. Poor little Gibbs, vet appointments can be unpleasant, I bet you are glad that's over with. Have a good weekend,-Mary

    1. Thank you Mary. I was probably as worried about him as he 'should have' been! :)

  3. Cooper agrees with Gibbs assessment of the situation. At least he sits nicely on the table!!!

  4. Poor Gibbs, a visit to the evil v e t is never fun for any pet. And poor you, getting the bill. Thank goodness Gibbs is well worth it.
    Enjoy your weekend!

    1. I know, poor little guy didn't like the things that had to be done. But he's healthy!!

  5. awww Poor Gibbs! Vets aren't cheap for sure. Your little guy is worth it for sure!

  6. A fresh cut lawn looks so pretty ... especially when its done on a Friday night and you can just relax for the weekend :-)

  7. A visit to the vet is a necessary evil as Maebeme says. Hope the bandage comes off okay. I can just imagine what the bill was.

    God bless.
